Exercise
What is needed: print all of the data underneath exactly.

Entries
____________
{"formula": "CoMoPb3", "functional": "PBE", "state": "optimized geometry", "polymorph_energy_mev_per_atom": 171, "e_form_mev_per_atom": 1135, "total_energy_ev_per_atom": -4.678, "spacegroup": "Pm-3m (221)", "cell": [[-2.6238, -2.3726, 4.0588], [-1.5613, -3.9446, -3.3151], [4.4345, -2.7926, 1.2343]], "species": ["Pb", "Pb", "Pb", "Mo", "Co"], "fractional_positions": [[0.0000, 0.5000, 0.0000], [0.0000, 0.0000, 0.5000], [0.5000, 0.0000, 0.0000], [0.0000, 0.0000, 0.0000], [0.5000, 0.5000, 0.5000]]}
____________

Solution
{"formula": "CoMoPb3", "functional": "PBE", "state": "optimized geometry", "polymorph_energy_mev_per_atom": 171, "e_form_mev_per_atom": 1135, "total_energy_ev_per_atom": -4.678, "spacegroup": "Pm-3m (221)", "cell": [[-2.6238, -2.3726, 4.0588], [-1.5613, -3.9446, -3.3151], [4.4345, -2.7926, 1.2343]], "species": ["Pb", "Pb", "Pb", "Mo", "Co"], "fractional_positions": [[0.0000, 0.5000, 0.0000], [0.0000, 0.0000, 0.5000], [0.5000, 0.0000, 0.0000], [0.0000, 0.0000, 0.0000], [0.5000, 0.5000, 0.5000]]}